Repeat all of the listing further below exactly.

<<<
Density functional theory data (PBE) for a geometry-optimized Pm4POsCl2 structure.

Results
As for the density of states at the Fermi level: 0.71 states/eV/atom. The calculation puts the energy relative to the elements, uncorrected at -1.168 eV/atom. Its total energy is -48.679 eV per cell.

```
Pm4POsCl2
1.0
-0.8509 -1.1992 -3.7861
-1.8316 -6.7724 2.5566
-7.1849 0.2248 1.5434
Pm P Os Cl
4 1 1 2
Direct
0.0000 0.7103 0.7721 Pm
0.0000 0.2897 0.2279 Pm
0.5000 0.7046 0.2531 Pm
0.5000 0.2954 0.7469 Pm
0.0000 0.5000 0.5000 P
0.5000 0.5000 0.0000 Os
0.0000 0.0000 0.0000 Cl
0.5000 0.0000 0.5000 Cl
```

----------

1.
First-principles (PBE-GGA) data for a geometry-optimized Ba2Ca structure, as listed in Alexandria.

The space group is P-62m (No. 189) and the conventional cell measures 11.7674, 11.7674 and 4.2177 Å, with angles of 90.00, 90.00 and 120.00 degrees. The asymmetric unit holds Ba at (0.0000, 0.3063, 0.0000), Ba at (0.0000, 0.6412, 0.5000), Ca at (0.0000, 0.0000, 0.5000) and Ca at (0.3333, 0.6667, 0.0000).

The value obtained for the density is 3.1 Mg/m³. The calculation puts the offset from the most stable computed form at 21 meV/atom. The total energy comes out at -1.8981 eV/atom. For the total moment, the calculation gives 0.000 μB/atom.

---

2.
First-principles (PBE-GGA) data for a geometry-optimized BaCa3 structure, as listed in Alexandria.

The space group is I4/mmm (No. 139) and the conventional cell measures 6.398, 6.398 and 9.030 Å, with angles of 90.00, 90.00 and 90.00 degrees. The asymmetric unit holds Ba at (0.000, 0.000, 0.000), Ca at (0.000, 0.000, 0.500) and Ca at (0.000, 0.500, 0.250).

The value obtained for the density is 2.3 Mg/m³. The total energy comes out at -1.9557 eV/atom. For the total moment, the calculation gives 0.000 μB/atom.

---

3.
First-principles (PBE-GGA) data for a geometry-optimized Ba3Ca structure, as listed in Alexandria.

The space group is Fm-3m (No. 225) and the conventional cell measures 9.719, 9.719 and 9.719 Å, with angles of 90.00, 90.00 and 90.00 degrees. The asymmetric unit holds Ba at (0.000, 0.000, 0.000), Ba at (0.250, 0.250, 0.250) and Ca at (0.000, 0.000, 0.500).

The value obtained for the density is 3.3 Mg/m³. The calculation puts the offset from the most stable computed form at 7 meV/atom. The total energy comes out at -1.9123 eV/atom. For the total moment, the calculation gives 0.000 μB/atom.

---

4.
First-principles (PBE-GGA) data for a geometry-optimized BaCa3 structure, as listed in Alexandria.

The space group is R-3m (No. 166, hexagonal axes) and the conventional cell measures 4.0323, 4.0323 and 39.4110 Å, with angles of 90.00, 90.00 and 120.00 degrees. The asymmetric unit holds Ba at (0.0000, 0.0000, 0.0000), Ca at (0.0000, 0.0000, 0.2458) and Ca at (0.0000, 0.0000, 0.5000).

The value obtained for the density is 2.3 Mg/m³. The total energy comes out at -1.9379 eV/atom. For the total moment, the calculation gives 0.000 μB/atom.

---

5.
First-principles (PBE-GGA) data for a geometry-optimized BaCa5 structure, as listed in Alexandria.

The space group is Cmmm (No. 65) and the conventional cell measures 5.689, 16.771 and 5.705 Å, with angles of 90.00, 90.00 and 90.00 degrees. The asymmetric unit holds Ba at (0.000, 0.000, 0.000), Ca at (0.000, 0.171, 0.500), Ca at (0.000, 0.328, 0.000) and Ca at (0.000, 0.500, 0.500).

The value obtained for the density is 2.1 Mg/m³. The calculation puts the offset from the most stable computed form at 1 meV/atom. The total energy comes out at -1.9658 eV/atom. For the total moment, the calculation gives 0.000 μB/atom.

---

6.
First-principles (PBE-GGA) data for a geometry-optimized Ba2Ca7 structure, as listed in Alexandria.

The space group is P-31m (No. 162) and the conventional cell measures 6.9827, 6.9827 and 9.8304 Å, with angles of 90.00, 90.00 and 120.00 degrees. The asymmetric unit holds Ba at (0.3333, 0.6667, 0.0000), Ca at (0.0000, 0.0000, 0.0000) and Ca at (0.0000, 0.3280, 0.6586).
>>>

Density functional theory data (PBE) for a geometry-optimized Pm4POsCl2 structure.

Results
As for the density of states at the Fermi level: 0.71 states/eV/atom. The calculation puts the energy relative to the elements, uncorrected at -1.168 eV/atom. Its total energy is -48.679 eV per cell.

```
Pm4POsCl2
1.0
-0.8509 -1.1992 -3.7861
-1.8316 -6.7724 2.5566
-7.1849 0.2248 1.5434
Pm P Os Cl
4 1 1 2
Direct
0.0000 0.7103 0.7721 Pm
0.0000 0.2897 0.2279 Pm
0.5000 0.7046 0.2531 Pm
0.5000 0.2954 0.7469 Pm
0.0000 0.5000 0.5000 P
0.5000 0.5000 0.0000 Os
0.0000 0.0000 0.0000 Cl
0.5000 0.0000 0.5000 Cl
```

----------

1.
First-principles (PBE-GGA) data for a geometry-optimized Ba2Ca structure, as listed in Alexandria.

The space group is P-62m (No. 189) and the conventional cell measures 11.7674, 11.7674 and 4.2177 Å, with angles of 90.00, 90.00 and 120.00 degrees. The asymmetric unit holds Ba at (0.0000, 0.3063, 0.0000), Ba at (0.0000, 0.6412, 0.5000), Ca at (0.0000, 0.0000, 0.5000) and Ca at (0.3333, 0.6667, 0.0000).

The value obtained for the density is 3.1 Mg/m³. The calculation puts the offset from the most stable computed form at 21 meV/atom. The total energy comes out at -1.8981 eV/atom. For the total moment, the calculation gives 0.000 μB/atom.

---

2.
First-principles (PBE-GGA) data for a geometry-optimized BaCa3 structure, as listed in Alexandria.

The space group is I4/mmm (No. 139) and the conventional cell measures 6.398, 6.398 and 9.030 Å, with angles of 90.00, 90.00 and 90.00 degrees. The asymmetric unit holds Ba at (0.000, 0.000, 0.000), Ca at (0.000, 0.000, 0.500) and Ca at (0.000, 0.500, 0.250).

The value obtained for the density is 2.3 Mg/m³. The total energy comes out at -1.9557 eV/atom. For the total moment, the calculation gives 0.000 μB/atom.

---

3.
First-principles (PBE-GGA) data for a geometry-optimized Ba3Ca structure, as listed in Alexandria.

The space group is Fm-3m (No. 225) and the conventional cell measures 9.719, 9.719 and 9.719 Å, with angles of 90.00, 90.00 and 90.00 degrees. The asymmetric unit holds Ba at (0.000, 0.000, 0.000), Ba at (0.250, 0.250, 0.250) and Ca at (0.000, 0.000, 0.500).

The value obtained for the density is 3.3 Mg/m³. The calculation puts the offset from the most stable computed form at 7 meV/atom. The total energy comes out at -1.9123 eV/atom. For the total moment, the calculation gives 0.000 μB/atom.

---

4.
First-principles (PBE-GGA) data for a geometry-optimized BaCa3 structure, as listed in Alexandria.

The space group is R-3m (No. 166, hexagonal axes) and the conventional cell measures 4.0323, 4.0323 and 39.4110 Å, with angles of 90.00, 90.00 and 120.00 degrees. The asymmetric unit holds Ba at (0.0000, 0.0000, 0.0000), Ca at (0.0000, 0.0000, 0.2458) and Ca at (0.0000, 0.0000, 0.5000).

The value obtained for the density is 2.3 Mg/m³. The total energy comes out at -1.9379 eV/atom. For the total moment, the calculation gives 0.000 μB/atom.

---

5.
First-principles (PBE-GGA) data for a geometry-optimized BaCa5 structure, as listed in Alexandria.

The space group is Cmmm (No. 65) and the conventional cell measures 5.689, 16.771 and 5.705 Å, with angles of 90.00, 90.00 and 90.00 degrees. The asymmetric unit holds Ba at (0.000, 0.000, 0.000), Ca at (0.000, 0.171, 0.500), Ca at (0.000, 0.328, 0.000) and Ca at (0.000, 0.500, 0.500).

The value obtained for the density is 2.1 Mg/m³. The calculation puts the offset from the most stable computed form at 1 meV/atom. The total energy comes out at -1.9658 eV/atom. For the total moment, the calculation gives 0.000 μB/atom.

---

6.
First-principles (PBE-GGA) data for a geometry-optimized Ba2Ca7 structure, as listed in Alexandria.

The space group is P-31m (No. 162) and the conventional cell measures 6.9827, 6.9827 and 9.8304 Å, with angles of 90.00, 90.00 and 120.00 degrees. The asymmetric unit holds Ba at (0.3333, 0.6667, 0.0000), Ca at (0.0000, 0.0000, 0.0000) and Ca at (0.0000, 0.3280, 0.6586).